[Brief]
Could you retype the whole of the material further below character by character?
[Input]
-- begin --
No. 1
# AlCl3 GGA-PBE optimized geometry
# formation energy without anion corrections = -0.397 eV/atom
# SG = P-6m2
# DOS at the Fermi energy = 2.73 states/eV/cell
# final energy = -10.87 eV per cell
# crystal system = hexagonal
data_AlCl3
_chemical_formula_sum 'Al1 Cl3'
_cell_length_a 3.444
_cell_length_b 3.444
_cell_length_c 8.021
_cell_angle_alpha 90.00
_cell_angle_beta 90.00
_cell_angle_gamma 120.00
_symmetry_space_group_name_H-M 'P 1'
_symmetry_Int_Tables_number 1
_symmetry_space_group_name_Hall 'P 1'
loop_
_atom_site_label
_atom_site_type_symbol
_atom_site_fract_x
_atom_site_fract_y
_atom_site_fract_z
Cl1 Cl 0.667 0.333 0.808
Cl2 Cl 0.000 0.000 0.500
Cl3 Cl 0.667 0.333 0.192
Al1 Al 0.000 0.000 0.000

No. 2
# Al7Cl GGA-PBE optimized geometry
# formation energy without anion corrections = 0.188 eV/atom
# SG = Fm-3m
# DOS at the Fermi energy = 5.62 states/eV/cell
# final energy = -26.54 eV per cell
# crystal system = cubic
data_Al7Cl
_chemical_formula_sum 'Al7 Cl1'
_cell_length_a 5.899
_cell_length_b 5.899
_cell_length_c 5.899
_cell_angle_alpha 60.00
_cell_angle_beta 60.00
_cell_angle_gamma 60.00
_symmetry_space_group_name_H-M 'P 1'
_symmetry_Int_Tables_number 1
_symmetry_space_group_name_Hall 'P 1'
loop_
_atom_site_label
_atom_site_type_symbol
_atom_site_fract_x
_atom_site_fract_y
_atom_site_fract_z
Al1 Al 0.000 0.500 0.000
Al2 Al 0.500 0.000 0.500
Al3 Al 0.500 0.500 0.000
Al4 Al 0.500 0.000 0.000
Cl1 Cl 0.000 0.000 0.000
Al5 Al 0.500 0.500 0.500
Al6 Al 0.000 0.000 0.500
Al7 Al 0.000 0.500 0.500

No. 3
# AlCl3 GGA-PBE optimized geometry
# formation energy without anion corrections = -0.008 eV/atom
# SG = R-3m
# DOS at the Fermi energy = 5.94 states/eV/cell
# final energy = -9.31 eV per cell
# crystal system = trigonal
data_AlCl3
_chemical_formula_sum 'Al1 Cl3'
_cell_length_a 4.959
_cell_length_b 4.959
_cell_length_c 4.959
_cell_angle_alpha 109.76
_cell_angle_beta 109.76
_cell_angle_gamma 109.76
_symmetry_space_group_name_H-M 'P 1'
_symmetry_Int_Tables_number 1
_symmetry_space_group_name_Hall 'P 1'
loop_
_atom_site_label
_atom_site_type_symbol
_atom_site_fract_x
_atom_site_fract_y
_atom_site_fract_z
Cl1 Cl 0.500 0.000 0.500
Cl2 Cl 0.000 0.500 0.500
Cl3 Cl 0.500 0.500 0.000
Al1 Al 0.000 0.000 0.000

No. 4
# AlCl2 GGA-PBE optimized geometry
# formation energy without anion corrections = -0.541 eV/atom
# SG = I4/mmm
# DOS at the Fermi energy = 1.32 states/eV/cell
# final energy = -9.06 eV per cell
# crystal system = tetragonal
data_AlCl2
_chemical_formula_sum 'Al1 Cl2'
_cell_length_a 7.240
_cell_length_b 7.240
_cell_length_c 7.240
_cell_angle_alpha 153.62
_cell_angle_beta 153.62
_cell_angle_gamma 37.65
_symmetry_space_group_name_H-M 'P 1'
_symmetry_Int_Tables_number 1
_symmetry_space_group_name_Hall 'P 1'
loop_
_atom_site_label
_atom_site_type_symbol
_atom_site_fract_x
_atom_site_fract_y
_atom_site_fract_z
Al1 Al 0.000 0.000 0.000
Cl1 Cl 0.391 0.391 0.000
Cl2 Cl 0.609 0.609 0.000

No. 5
# Al3Cl GGA-PBE optimized geometry
# energy above the lowest structure with this stoichiometry = 0.100 eV per atom
# formation energy without anion corrections = -0.025 eV/atom
# SG = Cmmm
# DOS at the Fermi energy = 0.73 states/eV/cell
# final energy = -13.17 eV per cell
# crystal system = orthorhombic
data_Al3Cl
_chemical_formula_sum 'Al3 Cl1'
_cell_length_a 3.087
_cell_length_b 3.087
_cell_length_c 8.809
_cell_angle_alpha 90.00
_cell_angle_beta 90.00
_cell_angle_gamma 118.76
_symmetry_space_group_name_H-M 'P 1'
_symmetry_Int_Tables_number 1
_symmetry_space_group_name_Hall 'P 1'
loop_
_atom_site_label
_atom_site_type_symbol
_atom_site_fract_x
_atom_site_fract_y
_atom_site_fract_z
Cl1 Cl 0.500 0.500 0.250
Al1 Al 0.500 0.500 0.750
Al2 Al 0.000 0.000 0.006
Al3 Al 0.000 0.000 0.494

No. 6
# AlCl5 GGA-PBE optimized geometry
# energy above the lowest structure with this stoichiometry = 0.505 eV per atom
# formation energy without anion corrections = -0.419 eV/atom
-- stop --
[Solution]
No. 1
# AlCl3 GGA-PBE optimized geometry
# formation energy without anion corrections = -0.397 eV/atom
# SG = P-6m2
# DOS at the Fermi energy = 2.73 states/eV/cell
# final energy = -10.87 eV per cell
# crystal system = hexagonal
data_AlCl3
_chemical_formula_sum 'Al1 Cl3'
_cell_length_a 3.444
_cell_length_b 3.444
_cell_length_c 8.021
_cell_angle_alpha 90.00
_cell_angle_beta 90.00
_cell_angle_gamma 120.00
_symmetry_space_group_name_H-M 'P 1'
_symmetry_Int_Tables_number 1
_symmetry_space_group_name_Hall 'P 1'
loop_
_atom_site_label
_atom_site_type_symbol
_atom_site_fract_x
_atom_site_fract_y
_atom_site_fract_z
Cl1 Cl 0.667 0.333 0.808
Cl2 Cl 0.000 0.000 0.500
Cl3 Cl 0.667 0.333 0.192
Al1 Al 0.000 0.000 0.000

No. 2
# Al7Cl GGA-PBE optimized geometry
# formation energy without anion corrections = 0.188 eV/atom
# SG = Fm-3m
# DOS at the Fermi energy = 5.62 states/eV/cell
# final energy = -26.54 eV per cell
# crystal system = cubic
data_Al7Cl
_chemical_formula_sum 'Al7 Cl1'
_cell_length_a 5.899
_cell_length_b 5.899
_cell_length_c 5.899
_cell_angle_alpha 60.00
_cell_angle_beta 60.00
_cell_angle_gamma 60.00
_symmetry_space_group_name_H-M 'P 1'
_symmetry_Int_Tables_number 1
_symmetry_space_group_name_Hall 'P 1'
loop_
_atom_site_label
_atom_site_type_symbol
_atom_site_fract_x
_atom_site_fract_y
_atom_site_fract_z
Al1 Al 0.000 0.500 0.000
Al2 Al 0.500 0.000 0.500
Al3 Al 0.500 0.500 0.000
Al4 Al 0.500 0.000 0.000
Cl1 Cl 0.000 0.000 0.000
Al5 Al 0.500 0.500 0.500
Al6 Al 0.000 0.000 0.500
Al7 Al 0.000 0.500 0.500

No. 3
# AlCl3 GGA-PBE optimized geometry
# formation energy without anion corrections = -0.008 eV/atom
# SG = R-3m
# DOS at the Fermi energy = 5.94 states/eV/cell
# final energy = -9.31 eV per cell
# crystal system = trigonal
data_AlCl3
_chemical_formula_sum 'Al1 Cl3'
_cell_length_a 4.959
_cell_length_b 4.959
_cell_length_c 4.959
_cell_angle_alpha 109.76
_cell_angle_beta 109.76
_cell_angle_gamma 109.76
_symmetry_space_group_name_H-M 'P 1'
_symmetry_Int_Tables_number 1
_symmetry_space_group_name_Hall 'P 1'
loop_
_atom_site_label
_atom_site_type_symbol
_atom_site_fract_x
_atom_site_fract_y
_atom_site_fract_z
Cl1 Cl 0.500 0.000 0.500
Cl2 Cl 0.000 0.500 0.500
Cl3 Cl 0.500 0.500 0.000
Al1 Al 0.000 0.000 0.000

No. 4
# AlCl2 GGA-PBE optimized geometry
# formation energy without anion corrections = -0.541 eV/atom
# SG = I4/mmm
# DOS at the Fermi energy = 1.32 states/eV/cell
# final energy = -9.06 eV per cell
# crystal system = tetragonal
data_AlCl2
_chemical_formula_sum 'Al1 Cl2'
_cell_length_a 7.240
_cell_length_b 7.240
_cell_length_c 7.240
_cell_angle_alpha 153.62
_cell_angle_beta 153.62
_cell_angle_gamma 37.65
_symmetry_space_group_name_H-M 'P 1'
_symmetry_Int_Tables_number 1
_symmetry_space_group_name_Hall 'P 1'
loop_
_atom_site_label
_atom_site_type_symbol
_atom_site_fract_x
_atom_site_fract_y
_atom_site_fract_z
Al1 Al 0.000 0.000 0.000
Cl1 Cl 0.391 0.391 0.000
Cl2 Cl 0.609 0.609 0.000

No. 5
# Al3Cl GGA-PBE optimized geometry
# energy above the lowest structure with this stoichiometry = 0.100 eV per atom
# formation energy without anion corrections = -0.025 eV/atom
# SG = Cmmm
# DOS at the Fermi energy = 0.73 states/eV/cell
# final energy = -13.17 eV per cell
# crystal system = orthorhombic
data_Al3Cl
_chemical_formula_sum 'Al3 Cl1'
_cell_length_a 3.087
_cell_length_b 3.087
_cell_length_c 8.809
_cell_angle_alpha 90.00
_cell_angle_beta 90.00
_cell_angle_gamma 118.76
_symmetry_space_group_name_H-M 'P 1'
_symmetry_Int_Tables_number 1
_symmetry_space_group_name_Hall 'P 1'
loop_
_atom_site_label
_atom_site_type_symbol
_atom_site_fract_x
_atom_site_fract_y
_atom_site_fract_z
Cl1 Cl 0.500 0.500 0.250
Al1 Al 0.500 0.500 0.750
Al2 Al 0.000 0.000 0.006
Al3 Al 0.000 0.000 0.494

No. 6
# AlCl5 GGA-PBE optimized geometry
# energy above the lowest structure with this stoichiometry = 0.505 eV per atom
# formation energy without anion corrections = -0.419 eV/atom